Improvement of farm agroforestal at the plain of the Empordà - Life eCOadapt50
Date of onset | 23/10/2024 |
Sector | Agroramader and forest |
Fellow impulsor | Association for the Integral Rural Development of the Northeastern Zone of Catalonia |
Territory of performance | Lladó (Tall Empordà) |
Climatic risk | Increase of the risk of forest fire Decrease of the production of crops and pastures Increment of the necessities of watering |
Estimate | 42.035,40 € |
The heterogeneity of the landscape, main complexity and biodiversity of the ecosystem
The ongoing forest masses of the plain agroforestal of the Empordà require of acts of management for such to cater new kicks ecosistèmics (blue water, biodiversity, primary production) and reduce climatic risks, like now the of forest fires or the of pests and sicknesses linked at the forest weakness. At ambient level, the creation of a mosaic agroforestal and of zones adevesades, promotes a heterogeneity of the landscape and, therefore, a main complexity and biodiversity of the system.
With this end in view, at the farm of the teulera sited at the township of Lladó (Tall Empordà) of 22 has where since the 2010 already works at a project of production agroecològica of orchard and cereals, has promoted an act inspired at the agroforesteria based at the cut and no at the plantation like at other rooms.
Forest management scheduled at 20,5 has to the farm the teulera
• These data records were left in the piece by mistake:
........
(1)
{"formula": "C8H9NO", "method": "ωB97M-V/def2-TZVPD", "elements": ["C", "C", "C", "H", "H", "N", "H", "H", "H", "H", "H", "C", "H", "O", "H", "C", "C", "C", "C"], "coordinates": [[0.4353, 1.1402, 0.5786], [1.1448, 2.4391, 0.6643], [0.1391, 0.0524, -0.4795], [-0.1738, -2.6997, 1.4979], [2.2070, 2.5213, 0.4153], [0.5240, 0.1123, 1.5089], [-0.6484, -2.0276, -2.8005], [-0.8581, -3.6929, -0.8594], [1.0291, 2.8940, 1.6818], [-0.1017, 0.2858, -2.5936], [0.7761, 3.0412, -0.1027], [-0.1480, -0.3395, -1.7260], [0.1804, 0.0800, 2.4905], [-1.4666, 1.7334, 0.9267], [-1.9746, 1.7318, 0.0576], [-0.2413, -2.1449, 0.6129], [0.0700, -0.8230, 0.6210], [-0.5216, -2.6146, -0.7351], [-0.3716, -1.6893, -1.7587]], "mulliken_charge": [0.64, -1.22, 0.41, 0.47, 0.33, -0.22, 0.23, 0.31, 0.29, 0.46, 0.31, -0.83, 0.31, -0.70, 0.26, -0.91, 0.55, -0.35, -0.35], "e_homo_ev": -8.3, "fmax_ev_per_a": 5.3, "e_lumo_ev": 0.26, "relative_energy_kcal_mol": 100.8, "charge": 0}



(2)
{"formula": "C2H4O2S", "method": "ωB97M-V/def2-TZVPD", "elements": ["S", "C", "H", "O", "O", "H", "H", "C", "H"], "coordinates": [[-3.2136, -0.1462, -0.2229], [1.3126, 0.0687, -0.7130], [0.6299, -0.5954, -1.0542], [-3.0773, -1.4570, 0.3049], [-2.3240, 0.8916, 0.2171], [1.9757, 0.5832, -1.3712], [2.2976, 0.8279, 1.0527], [1.4961, 0.1685, 0.5686], [0.9031, -0.3414, 1.2180]], "mulliken_charge": [0.69, -0.48, 0.27, -0.35, -0.35, 0.22, 0.18, -0.46, 0.27], "e_homo_ev": -10.2, "fmax_ev_per_a": 3.8, "e_lumo_ev": -1.11, "relative_energy_kcal_mol": 44.3, "charge": 0}



(3)
{"formula": "C3H4N2O", "method": "ωB97M-V/def2-TZVPD", "elements": ["N", "H", "O", "C", "H", "C", "H", "C", "H", "N"], "coordinates": [[-0.0666, 0.3172, -0.5599], [-3.0695, -0.5950, 0.1643], [0.9109, -1.6810, 0.0782], [1.0283, -0.5052, -0.1835], [3.0446, -0.2998, -0.1749], [-2.3672, 0.1722, 0.4545], [2.1524, 1.1624, -0.5344], [-1.1644, 0.1851, -0.0371], [-2.6460, 1.0424, 1.0284], [2.1775, 0.2018, -0.2355]], "mulliken_charge": [-0.43, 0.26, -0.56, 0.60, 0.24, -0.99, 0.23, 0.75, 0.25, -0.34], "e_homo_ev": -9.3, "smiles": "C=C=NC(N)=O", "fmax_ev_per_a": 0.8, "e_lumo_ev": 0.83, "relative_energy_kcal_mol": 28.3, "charge": 0}



(4)
{"formula": "C2HClNOP", "method": "ωB97M-V/def2-TZVPD", "elements": ["N", "C", "O", "P", "Cl", "C", "H"], "coordinates": [[-0.7133, -1.4915, -3.5844], [1.4450, -0.1217, -0.9060], [-0.9042, -0.4513, -1.0365], [-1.6201, -1.1471, -2.4858], [2.9829, 0.0785, -1.0609], [0.2238, -0.0240, -0.5048], [-0.1691, 0.6374, 0.2792]], "mulliken_spin": [0.78, 0.78, 0.13, 0.09, 0.16, -0.02, 0.08], "spin_multiplicity": 3, "e_homo_ev": [-8.3, -9.0], "fmax_ev_per_a": 5.9, "e_lumo_ev": [-0.08, -2.74], "charge": 0}



(5)
........
The farm has a big natural value since the river Manol crosses it for the half and there is presence of a forest of maples, some boixedes -now affected for the butterfly of the boix (Cydalima perspectalis)- with sparse feet of Ilex aquifolium. At the zone northeast of the farm, extends a forest mass that has been abandoned for years and that the year 2018 was scheduled with a Plan of Forest Management.
The act in question consists at the forest management of 20,5 has to the farm for pasture at what will realise the following acts:
- Rompuda of a rebrot of alzines of 1'4ha. At this zone will make strips each 24m with the aim to make a system of fences arbrades to favour the production of aglans.
- Four typologies of forest management at the rest of the 15,7ha:
- 8.7 it has to alzinar at that it will make a selection and improvement of feet to reach a density of 600 feet/has.
- 3.5 it has to white pine with sotabosc of alzina at that they will let 10 pines has and esclarirà the alzinar at 300peus/has to obtain pasture and aglans.
- 3.5ha of white pine with sotabosc of alzina at that they will let a density of alzina sole of 300 feet/has.
- 1ha of control with the ongoing vegetation.
- Scientific follow-up of the project
Appraisal of the suitability to enter the Catalan donkeys that already graze 5ha of the farm at the system agroforestal created. But it would assess introduce cows type Albera or Bruna at function of the results of the scientific survey.